997.815 DKK
Primært resultat (EBIT)
498.014 DKK
Årets resultat
-567.071 DKK
-348.693 DKK

Flere nøgletal og analyser?

Med en Bisbase Premium konto får du flere nøgletal for både virksomheder, koncerner og brancher samt adgang til eksklusive brancher indeholdende virksomheder nøje sammensat af eksperter. Og vil du lave dine egne analyser kan du også det! Det tager få minutter at få adgang - og det behøver ikke at koste dig noget!

Rang Årets resultat

Rang i branche
"Bund 35%"
Rang i Danmark
"Bund 10%"

Direktion top 3

Legale ejere top 3


Selskabet tegnes af en direktør

Stamoplysninger baseret på CVR

## Crystal structures, kept here for reference
# Zn2PCl

A relaxed structure of Zn2PCl (PBE, the Alexandria database).

The structure in extended XYZ format:
```
4
Lattice="3.076 -0.015 0.000 -0.968 2.920 0.000 0.000 0.000 9.177" Properties=species:S:1:pos:R:3 pbc="T T T"
Zn 0.000 0.000 0.131
Cl 0.000 0.000 3.789
P 1.054 1.452 7.642
Zn 1.054 1.452 2.203
```

Polymorph energy (0 for the lowest one) ... 642.0 meV/atom
Density of states at the Fermi level ... 1.1 states/eV/cell
Density ... 4.0 g cm⁻³
Symmetry ... Cmm2 (35)
E_tot ... -9.35 eV per cell

NavnStiftsvej Aps
AdresseStrandesplanaden 110, 2 2, c/o c/o Sønderup I/S, 2665 Vallensbæk Strand
BrancheGennemførelse af byggeprojekter [411000]
Etableret28-05-2021 (2 år)
Første regnskabsperiode28-05-2021 til 31-12-2021
Antal ansatte 1 (Regnskab)
RevisorSønderup I/S, Statsautoriserede Revisorer siden 23-06-2022
Regnskabsperiode01-01 til 31-12
Selskabskapital240.000 DKK
Vedtægter seneste28-05-2021

Medlem af brancherne


Selskabets formål er at udvikle, bygge og drive ejendom og anden hermed beslægtet virksomhed


Valuta/enhed000' DKK000' DKK
Årets resultat


The Company's principal activities The company's main activity consists of developing, building and operating property and other related business. Development in the activities and the financial situation of the Company The Company's Income Statement of the financial year 1 January 2022 - 31 December 2022 shows a result of DKK -567.071 and the Balance Sheet at 31 December 2022 a balance sheet total of DKK 29.991.251 and an equity of DKK -348.692. The company has lost more than half of its capital, which is why the continued operations are dependent on future rental income. The tenancy agreement drawn up is irrevocable for a period up to the beginning of 2028, with a buyout of two years rent. The property was built during 2022, which means that the rental income does not represent a whole financial year. Going forward the property are fully let, just as all mayor construction costs have been waived. For this reason the capital is expected to be re-established by future profits. Post financial year events After the end of the financial year, no events have occurred which may change the financial position of the entity substantially.

The Company's Income Statement of the financial year 1 January 2022 - 31 December 2022 shows a result of DKK -567.071 and the Balance Sheet at 31 December 2022 a balance sheet total of DKK 29.991.251 and an equity of DKK -348.692. The company has lost more than half of its capital, which is why the continued operations are dependent on future rental income. The tenancy agreement drawn up is irrevocable for a period up to the beginning of 2028, with a buyout of two years rent. The property was built during 2022, which means that the rental income does not represent a whole financial year. Going forward the property are fully let, just as all mayor construction costs have been waived. For this reason the capital is expected to be re-established by future profits. , Development in the activities and the financial situation of the Company The Company's Income Statement of the financial year 1 January 2022 - 31 December 2022 shows a result of DKK -567.071 and the Balance Sheet at 31 December 2022 a balance sheet total of DKK 29.991.251 and an equity of DKK -348.692. The company has lost more than half of its capital, which is why the continued operations are dependent on future rental income. The tenancy agreement drawn up is irrevocable for a period up to the beginning of 2028, with a buyout of two years rent. The property was built during 2022, which means that the rental income does not represent a whole financial year. Going forward the property are fully let, just as all mayor construction costs have been waived. For this reason the capital is expected to be re-established by future profits.
